
We are off to a great start to our week.  Yesterday we went to The Wharton Center to see Are You My Mother?  The students loved the story and have been talking about it since we left.  Today we did some writing about our trip and they will be posted in the wall by the end of the week.  Stop by and see our hard work. 

In reading this week we are learning about the letter O.  We are also comparing what life was like when I was a kid to their life.  They are so amused with the things I didn't have when I was a kid.  We have been looking on line and in books to see pictures of things like record players, corded phones, as well as other things that they think are ancient.  :)  Wait until I tell them about my Atari games.  Frogger never looked better!

The 100th day of school is quickly approaching. (February 16, 2012) A special homework assignment will be in next week's homework folder.  We are making a classroom book about our day.  More information will come home next Monday.

Library is EVERY Thursday.  Your child's books come home on Thursday nights and should return the following week by Thursday morning.  If your child has a book out they may not take another one out until that book is returned.  If you cannot find your book please contact Mrs. Nagy in the Discovery Library.

This week in their homework folders you received a note from me.  It was two sheets stapled together.  The front sheet was purple.  I am working on a research project in our classroom and I need your acknowledgement of the project before I can begin it.  Please look it over and if you have questions, let me know and I will answer them as best as I can. 

Next to the entry, the page also holds crystal structures =
........
Material: Nd5Ho3Hg2
Method: DFT, PBE-GGA
State: relaxed

Geometry as CIF:
```
data_Nd5Ho3Hg2
_symmetry_space_group_name_H-M 'I b a m'
_symmetry_Int_Tables_number 72
_symmetry_space_group_name_Hall '-I 2 2c'
_cell_length_a 11.6806
_cell_length_b 16.3669
_cell_length_c 6.8951
_cell_angle_alpha 90.00
_cell_angle_beta 90.00
_cell_angle_gamma 90.00
loop_
_atom_site_label
_atom_site_type_symbol
_atom_site_fract_x
_atom_site_fract_y
_atom_site_fract_z
Nd1 Nd 0.0000 0.0000 0.2500
Nd2 Nd 0.0000 0.1941 0.2500
Nd3 Nd 0.2312 0.0605 0.0000
Ho1 Ho 0.0000 0.5000 0.2500
Ho2 Ho 0.2243 0.3256 0.0000
Hg1 Hg 0.0457 0.3465 0.5000
```

The value obtained for the mass density is 8.149 Mg/m³. As for the density of states at the Fermi level: 62.45 states/eV per cell. The value obtained for the energy relative to the elements is 0.06 eV per atom. Its total DFT energy (no corrections) is -3.76 eV per atom.

----------

5
Lattice="-0.7714 -4.7719 1.9409 3.2013 -1.9816 -3.5997 4.0361 0.6597 3.2261" Properties=species:S:1:pos:R:3 comment="HfGe3N | Alexandria | PBE-GGA | optimized geometry" vol_a3_per_atom=28.27 rho_g_cm3=4.822 raw_formation_energy_ev_per_atom=1.456 polymorph_energy_kj_per_mol_fu=490.4 dft_energy_ev_per_cell=-24.851 pbc="T T T"
N 3.2330 -3.0469 0.7836
Hf 0.0000 0.0000 0.0000
Ge 2.0180 0.3298 1.6131
Ge -0.3857 -2.3859 0.9704
Ge 1.6006 -0.9908 -1.7999

=====

5
Lattice="3.7358 0.0000 0.0000 0.0000 3.7358 0.0000 0.0000 0.0000 3.7358" Properties=species:S:1:pos:R:3 comment="HfGeN3 | Alexandria | PBE-GGA | optimized geometry" vol_a3_per_atom=10.43 rho_g_cm3=9.337 raw_formation_energy_ev_per_atom=0.324 dft_energy_ev_per_cell=-37.926 pbc="T T T"
Ge 0.0000 0.0000 0.0000
Hf 1.8679 1.8679 1.8679
N 0.0000 1.8679 0.0000
N 0.0000 0.0000 1.8679
N 1.8679 0.0000 0.0000

=====

5
Lattice="-0.5587 3.6485 -1.7111 -4.1618 -0.1724 0.9912 0.7757 1.7925 3.5689" Properties=species:S:1:pos:R:3 comment="HfGeNO2 | Alexandria | PBE-GGA | optimized geometry" vol_a3_per_atom=14.17 rho_g_cm3=6.962 raw_formation_energy_ev_per_atom=-1.183 dft_energy_ev_per_cell=-38.726 pbc="T T T"
O -0.2793 1.8243 -0.8556
O 0.3878 0.8963 1.7844
Hf 0.0000 0.0000 0.0000
Ge -1.9724 2.6343 1.4245
N -2.0809 -0.0862 0.4956

=====

5
Lattice="-2.8238 -1.7920 -1.6089 -0.6110 -1.8651 3.1498 -2.4394 2.7871 1.1771" Properties=species:S:1:pos:R:3 comment="HfGeNO2 | Alexandria | PBE-GGA | optimized geometry" vol_a3_per_atom=10.71 rho_g_cm3=9.217 raw_formation_energy_ev_per_atom=-0.880 dft_energy_ev_per_cell=-37.214 pbc="T T T"
O -1.4119 -0.8960 -0.8044
O -0.3055 -0.9325 1.5749
Hf -2.9371 -0.4350 1.3590
Ge 0.0000 0.0000 0.0000
N -1.2197 1.3936 0.5886

=====

5
Lattice="-0.1259 3.3735 1.7377 -3.7039 -0.4873 0.6778 0.7868 -1.5947 3.1528" Properties=species:S:1:pos:R:3 comment="HfGeN2O | Alexandria | PBE-GGA | optimized geometry" vol_a3_per_atom=10.44 rho_g_cm3=9.393 raw_formation_energy_ev_per_atom=-0.460 dft_energy_ev_per_cell=-38.482 pbc="T T T"
N -1.8519 -0.2437 0.3389
N -0.0629 1.6867 0.8688
O 0.3934 -0.7973 1.5764
........

Lastly, report cards will be mailed tomorrow from school.  You should receive your child's report card in the mail on Thursday or Friday at the latest.  If after reading all of the enclosed information you still have questions, do not hesitate to contact me about your concerns.
As many of you know, I left early with a stomach bug on Thursday and was not at school on Friday.  Because of this unexpected occurrence, I did not send home Friday Folders with your weekly information in them.  All of that will come home on Tuesday the 24th along with new stories for book bags.  Please let me know if you have any questions or concerns. 

I have heard from Mrs. Fields that The Crew had a good day, and I am anxious to be back at school on Tuesday.  Remember that there is no school on Monday.  This is Records Day and teachers will be working on report cards and getting them started and ready to mail home on February 1st.  I will be at school on Monday if you need to get a hold of me.  I will check my mail and messages often.

Have a GREAT weekend and I hope you
A new week has begun and we are well on our way.  Over the last several weeks I have been doing assessments on students and gaining knowledge about what I need to re-teach.  The remainder of this week will be spent on final assessments before report cards.  The growth I have seen so far is very impressive!

In reading this week we are working on learning the letters K and D.  We have looked for things around us that begin with those letters or have those sounds in them.  We have shared our findings and will continue through the rest of the week.  We are also reading a story about George Washington.  The Crew loves non fiction!  They look for "real" stories in the library and in the classroom.  This is a big deal!

In Math we are working on "addition" using  story problems, counters, and number cards.  The games we learned this week are Racing Bears, Double and Compare, and Build It/Change It.  Ask your child to tell you about these games.  We have also been drawing pictures and writing a number sentence for the picture.  The Crew is loving "Big Kid Math!" 

In Science, we are continueing to work on Movement.  The students will head to the science lab tomorrow to work in groups to explore movement further.

# Records of crystals from another source follow
____________
Material: Li2Tl2Cd3
Method: DFT, PBE
State: optimized geometry

Results
Total energy, eV per cell: -24.18
ΔE to the lowest computed polymorph, eV per atom: 0.000
E_form, eV/atom: -0.11
DOS at the Fermi energy, states/eV per atom: 0.337

Cell: 8.5755 5.0970 8.0559 Å, 90.00 115.15 90.00°
Space group C2/m (No. 12)
Asymmetric unit:
Li (0.2329, 0.0000, 0.1692) x4
Tl (0.0771, 0.0000, 0.7584) x4
Cd (0.0000, 0.5000, 0.0000) x2
Cd (0.1455, 0.5000, 0.4239) x4

* * * * *

Entry 1:
Crystalline Pm2ThSn at its relaxed geometry, computed with PBE.

Results
Space group: No. 166
Offset from the most stable computed form (meV/atom): 381

Structure (POSCAR):
```
Pm2ThSn
1.0
1.727 0.997 12.197
-1.727 0.997 12.197
0.000 -1.994 12.197
Pm Th Sn
2 1 1
direct
0.094 0.094 0.094
0.906 0.906 0.906
0.000 0.000 0.000
0.500 0.500 0.500
```

=====

Entry 2:
Crystalline Ta2Bi4O11 at its relaxed geometry, computed with PBE.

Results
Space group: No. 2
ΔE_f (raw) (eV/atom): -1.958

Structure (POSCAR):
```
Ta2Bi4O11
1.0
6.659 0.000 0.000
0.011 7.733 0.000
0.090 1.934 9.873
Ta Bi O
4 8 22
direct
0.084 0.297 0.313
0.088 0.797 0.309
0.912 0.203 0.691
0.916 0.703 0.687
0.239 0.628 0.978
0.247 0.129 0.978
0.388 0.455 0.671
0.440 0.952 0.684
0.560 0.048 0.316
0.612 0.545 0.329
0.753 0.871 0.022
0.761 0.372 0.022
0.003 0.223 0.500
0.018 0.548 0.309
0.093 0.360 0.099
0.110 0.835 0.104
0.157 0.052 0.291
0.217 0.150 0.736
0.219 0.730 0.737
0.367 0.339 0.334
0.367 0.742 0.347
0.411 0.395 0.886
0.458 0.906 0.898
0.542 0.094 0.102
0.589 0.605 0.114
0.633 0.258 0.653
0.633 0.661 0.666
0.781 0.270 0.263
0.783 0.850 0.264
0.843 0.948 0.709
0.890 0.165 0.896
0.907 0.640 0.901
0.982 0.452 0.691
0.997 0.777 0.500
```

=====

Entry 3:
Crystalline ScVRh2 at its relaxed geometry, computed with PBE.

Results
Space group: No. 123

Structure (POSCAR):
```
ScVRh2
1.0
4.227 0.000 0.000
0.000 4.227 0.000
0.000 0.000 3.459
Sc V Rh
1 1 2
direct
0.000 0.000 0.000
0.500 0.500 0.000
0.000 0.500 0.500
0.500 0.000 0.500
```

=====

| no. | total magnetization (μB per atom) | E_tot (eV per atom) |
| --- | --- | --- |
| 1 | 0.0000 | -5.24 |
| 2 | 0.0000 | -7.47 |
| 3 | 0.4019 | -8.07 |

* * * * *

No. 1
{
  "formula": "Tb12Tm6Cd",
  "functional": "PBE",
  "state": "relaxed",
  "sg": "R-3 (148)",
  "relative_energy_mev_per_atom": 0,
  "formation_energy_kj_per_mol_atoms": 10.3,
  "cell": [[-6.8495, 4.6471, -1.5759], [-4.7186, -5.0187, 4.8520], [1.5210, 4.8190, 6.7422]],
  "species": ["Tb", "Tm", "Tb", "Cd", "Tb", "Tb", "Tm", "Tm", "Tm", "Tb", "Tb", "Tb", "Tb", "Tm", "Tb", "Tm", "Tb", "Tb", "Tb"],
____________

As many of you know our field trip to the Wharton Center is coming up on January 30th.  We will leave here at about 8:15 and return at about 11:30.  Students need a sack lunch that day.  If they normally order a hot lunch, they will be able to order a box lunch from the cafeteria to eat when they return.  An order form will come home on Thursday, January 19 with more details.  The order must be to the kitchen by January 27th so that they can prepare the lunches for our students who need one.

Let's Celebrate!  In December, Ms. Durling and I applied for a grant to purchase MP3 players, headphones and stories for all Kindergarten classrooms.  We were awarded $2100 to fund this project through the Williamston Schools Foundation.  The MP3 players have arrived and Ms. Durling and I will be adding stories to the players as well as music for students to use during reading time.  The students are so excited to begin using this technology.  In the future we may be looking for parents to record a reading of their child's favorite book for use in the classroom. 

Lastly, if you have any questions or concerns about anything you read in my blog, please let me know.  I love feedback!!!
HAPPY NEW YEAR!  I am so excited to be back!  Last week we struggled to adapt back to our normal routines and even Mrs. Kopper had her moments.  BUT we are back on track and doing fabulous!  Last week we talked about how we spent our winter break and shared stories of our adventures.  We learned new games and new centers.  We had such fun getting back into the swing of things. 

This week we are learning all sorts of new things.  We are learning what sound the letter r makes in new words.   We are searching for the letter in our daily reading and writing.  We are making the sound and writing the letter often so that we commit it to our memory.  Come by the room any day this week in the morning and you will think that we have been over run by pirates.  Arrrrrrrrrrr!  I love my job and what I do!

This week we also learned some new math skills.  We read some story problems and thought of ways to solve them.  When I wrote the number sentence on the board for what we had just done one student exclaimed "Mrs. Kopper we are doing REAL math!"  For the last two math sessions the students have hung on  my every word, very eager to do "real" math!  For now this will only be done in a whole group setting, but in the coming months students will be exploring addition and subtraction on their own and in small groups. 

Until next time!  Arrrrrrrrrrr Matey!  :)
Mrs. Kopper